(Contents)
# LiMnOs3

A geometry-optimized LiMnOs3 structure (GGA-PBE, Alexandria via LeMat-Bulk).

Computed properties:
Polymorph energy (0 for the lowest one)   0 kJ/mol of formula units
Total moment   0.000 μB/f.u.
Energy of formation   1.375 eV per atom

Cell lengths 4.0304, 4.0304, 4.0304 Å; angles 90.00, 90.00, 90.00 degrees
Closest atoms and distances in Å follow each position.
Space group Pm-3m (No. 221)
Inequivalent atoms, fractional coordinates:
1 Li 0.0000 0.0000 0.0000  6 Os 2.02
2 Mn 0.5000 0.5000 0.5000  12 Os 2.85
3 Os 0.0000 0.0000 0.5000  2 Li 2.02

***

# Zr2ZnW

A geometry-optimized Zr2ZnW structure (GGA-PBE, Alexandria via LeMat-Bulk).

Computed properties:
Total moment   0.000 μB/f.u.
Energy of formation   0.089 eV per atom

Cell lengths 2.8558, 2.8558, 9.2212 Å; angles 90.00, 90.00, 90.00 degrees
Closest atoms and distances in Å follow each position.
Space group P4/mmm (No. 123)
Inequivalent atoms, fractional coordinates:
1 Zr 0.0000 0.0000 0.2445  4 Zr 2.86, 4 Zn 3.03, 4 W 3.10
2 Zn 0.5000 0.5000 0.0000  4 Zn 2.86, 8 Zr 3.03
3 W 0.5000 0.5000 0.5000  4 W 2.86, 8 Zr 3.10

***

# Ca2CdB

A geometry-optimized Ca2CdB structure (GGA-PBE, Alexandria via LeMat-Bulk).

Computed properties:
Polymorph energy (0 for the lowest one)   0 kJ/mol of formula units
Total moment   0.000 μB/f.u.
Energy of formation   0.310 eV per atom

Cell lengths 7.1345, 7.1345, 7.1345 Å; angles 90.00, 90.00, 90.00 degrees
Closest atoms and distances in Å follow each position.
Space group Fm-3m (No. 225)
Inequivalent atoms, fractional coordinates:
1 Ca 0.2500 0.2500 0.2500  4 B 3.09, 4 Cd 3.09
2 Cd 0.0000 0.0000 0.0000  8 Ca 3.09
3 B 0.0000 0.0000 0.5000  8 Ca 3.09

***

# InSiPb2

A geometry-optimized InSiPb2 structure (GGA-PBE, Alexandria via LeMat-Bulk).

Computed properties:
Total moment   0.000 μB/f.u.
Formation energy (no corrections)   246.5 meV per atom

Cell lengths 3.8056, 3.9461, 7.5586 Å; angles 90.00, 103.12, 90.00 degrees
Closest atoms and distances in Å follow each position.
Space group Pm (No. 6)
Inequivalent atoms, fractional coordinates:
1 In 0.0000 0.0000 0.0000  4 Si 2.84
2 Si 0.4530 0.5000 0.8977  4 In 2.84, 3 Pb 2.95-2.97
3 Pb 0.2961 0.0000 0.5966  2 Si 2.97
4 Pb 0.6596 0.5000 0.2986  1 Si 2.95

***

# Ba3Na2Au3

A geometry-optimized Ba3Na2Au3 structure (GGA-PBE, Alexandria via LeMat-Bulk).

Computed properties:
Total moment   0.000 μB/f.u.
Energy of formation   -0.524 eV per atom

Cell lengths 9.8468, 9.8468, 6.6422 Å; angles 90.00, 90.00, 120.00 degrees
Closest atoms and distances in Å follow each position.
Space group P6_3/mcm (No. 193)
Inequivalent atoms, fractional coordinates:
1 Ba 0.0000 0.2893 0.2500  5 Au 3.29-3.43
2 Na 0.3333 0.6667 0.0000  2 Na 3.32, 6 Au 3.51
3 Au 0.0000 0.3767 0.7500  5 Ba 3.29-3.43, 4 Na 3.51

***

# CeUC

A geometry-optimized CeUC structure (GGA-PBE, Alexandria via LeMat-Bulk).

Computed properties:
Polymorph energy (0 for the lowest one)   19 kJ/mol of formula units
Total moment   0.001 μB/f.u.
Energy of formation   0.051 eV per atom

Cell lengths 11.1206, 3.4217, 6.4619 Å; angles 90.00, 121.64, 90.00 degrees
Closest atoms and distances in Å follow each position.
Space group C2/m (No. 12)
Inequivalent atoms, fractional coordinates:
1 Ce 0.0600 0.0000 0.3031  2 C 2.64, 3 U 2.71-2.90
2 U 0.2081 0.5000 0.1938  3 C 2.32-2.34
3 C 0.1433 0.5000 0.7895  3 U 2.32-2.34

***

# ThCd2Hg

A geometry-optimized ThCd2Hg structure (GGA-PBE, Alexandria via LeMat-Bulk).

Computed properties:
Polymorph energy (0 for the lowest one)   21 kJ/mol of formula units
Total moment   0.000 μB/f.u.
Energy of formation   -0.115 eV per atom

Cell lengths 4.6091, 4.6091, 4.8998 Å; angles 90.00, 90.00, 90.00 degrees
Closest atoms and distances in Å follow each position.
Space group P4/mmm (No. 123)
Inequivalent atoms, fractional coordinates:
1 Th 0.0000 0.0000 0.0000  4 Hg 3.26, 8 Cd 3.36
2 Cd 0.0000 0.5000 0.5000  4 Cd 3.26, 4 Hg 3.36, 4 Th 3.36
3 Hg 0.5000 0.5000 0.0000  4 Th 3.26, 8 Cd 3.36

***

# Ca2FeIr
(Exercise)
It remains to filter the rows earlier on: keep the lines with the word "coordinates".
(Completed)
Inequivalent atoms, fractional coordinates:
Inequivalent atoms, fractional coordinates:
Inequivalent atoms, fractional coordinates:
Inequivalent atoms, fractional coordinates:
Inequivalent atoms, fractional coordinates:
Inequivalent atoms, fractional coordinates:
Inequivalent atoms, fractional coordinates: